Consistency training is a slippery concept. All the subfields of ML use it, but they each call it something different. Researchers have been doing it since the 19th century, yet they still rediscover it on a yearly basis. Once you recognize it you’ll see it everywhere.

Here the article breaks off for calculated crystals.
# 1
Ba5Au3 | GGA-PBE | optimized geometry

Energy relative to the elements in meV per atom: -507
Relative energy among the computed polymorphs in meV/atom: 40

a b c (Å): 9.9266 9.9266 9.9266
angles (deg): 98.23 98.23 135.53
Fractional positions:
Ba 0.0828 0.7946 0.8774
Ba 0.2054 0.0828 0.2883
Ba 0.2500 0.7500 0.5000
Ba 0.2946 0.5828 0.8774
Ba 0.4172 0.2946 0.7117
Ba 0.5828 0.7054 0.2883
Ba 0.7054 0.4172 0.1226
Ba 0.7500 0.2500 0.5000
Ba 0.7946 0.9172 0.7117
Ba 0.9172 0.2054 0.1226
Au 0.1545 0.3455 0.5000
Au 0.2500 0.2500 0.0000
Au 0.3455 0.8455 0.1911
Au 0.6545 0.1545 0.8089
Au 0.7500 0.7500 0.0000
Au 0.8455 0.6545 0.5000


# 2
KBaEu | GGA-PBE | optimized geometry

Energy relative to the elements in meV per atom: 121
Relative energy among the computed polymorphs in meV/atom: 5

a b c (Å): 4.1780 4.1780 20.3108
angles (deg): 90.00 90.00 90.00
Fractional positions:
K 0.0000 0.0000 0.0000
K 0.5000 0.5000 0.5000
Ba 0.0000 0.0000 0.6816
Ba 0.5000 0.5000 0.1816
Eu 0.0000 0.0000 0.3328
Eu 0.5000 0.5000 0.8328


# 3
HoZrTl | GGA-PBE | optimized geometry

Energy relative to the elements in meV per atom: 141
Relative energy among the computed polymorphs in meV/atom: 251

a b c (Å): 7.6939 6.9398 5.2601
angles (deg): 76.83 61.43 41.74
Fractional positions:
Ho 0.1797 0.8203 0.1797
Ho 0.8203 0.1797 0.8203
Zr 0.2500 0.2500 0.2500
Zr 0.7500 0.7500 0.7500
Tl 0.3794 0.3794 0.6206
Tl 0.6206 0.6206 0.3794


# 4
K3Na4Bi2 | GGA-PBE | optimized geometry

Energy relative to the elements in meV per atom: -291

a b c (Å): 5.6946 5.6946 11.0896
angles (deg): 90.12 90.12 59.93
Fractional positions:
K 0.0000 0.0000 0.0000
K 0.3333 0.3333 0.4206
K 0.6667 0.6667 0.5794
Na 0.9997 0.9997 0.3014
Na 0.0003 0.0003 0.6986
Na 0.3333 0.3333 0.1037
Na 0.6667 0.6667 0.8963
Bi 0.3335 0.3335 0.7880
Bi 0.6665 0.6665 0.2120


# 5
Ho3Ti5H12 | GGA-PBE | optimized geometry

a b c (Å): 10.1769 10.1769 10.1769
angles (deg): 109.47 109.47 109.47
Fractional positions:
Ho 0.1250 0.2500 0.3750
Ho 0.1250 0.3750 0.7500
Ho 0.2500 0.3750 0.1250
Ho 0.2500 0.8750 0.6250
Ho 0.3750 0.1250 0.2500
Ho 0.3750 0.7500 0.1250
Ho 0.6250 0.2500 0.8750
Ho 0.6250 0.8750 0.7500
Ho 0.7500 0.1250 0.3750
Ho 0.7500 0.6250 0.8750
Ho 0.8750 0.6250 0.2500
Ho 0.8750 0.7500 0.6250
Ti 0.0000 0.0000 0.0000
Ti 0.0000 0.0000 0.5000
Ti 0.0000 0.5000 0.0000
Ti 0.0000 0.5000 0.5000
Ti 0.1250 0.7500 0.8750
Ti 0.1250 0.8750 0.2500
Ti 0.2500 0.1250 0.8750
Ti 0.2500 0.6250 0.3750
Ti 0.3750 0.2500 0.6250
Ti 0.3750 0.6250 0.7500
Ti 0.5000 0.0000 0.0000
Ti 0.5000 0.0000 0.5000
Ti 0.5000 0.5000 0.0000
Ti 0.5000 0.5000 0.5000
Ti 0.6250 0.3750 0.2500
Ti 0.6250 0.7500 0.3750
Ti 0.7500 0.3750 0.6250
Ti 0.7500 0.8750 0.1250
Ti 0.8750 0.1250 0.7500
Ti 0.8750 0.2500 0.1250
H 0.0450 0.2103 0.1312
H 0.0450 0.3347 0.9138
H 0.0791 0.7103 0.6653
H 0.0791 0.8688 0.4138
H 0.0862 0.6312 0.4209
H 0.0862 0.9550 0.6653
H 0.1312 0.0450 0.2103
H 0.1312 0.5862 0.9209
H 0.1653 0.2103 0.5791
H 0.1653 0.4550 0.5862
H 0.2103 0.1312 0.0450
H 0.2103 0.5791 0.1653

It may be hard to pin down when folks are doing consistency training, but it’s worth getting the concept right: it’s powering the current revolution in self-supervised learning for computer vision. It’s how OpenAI’s CLIP learns a zero-shot classifier. It’s the best way we know of doing domain-adaptation. It’s what makes dropout and data augmentation work.

Self-supervised learning (SSL) has been doing it in the form of “contrastive learning”. But “contrastive” can mean a lot of things—any softmax is contrastive. Now it’s popping up as “non-contrastive SSL”, but that could include pretext tasks. I’ve also seen it called “invariant representation learning” or “energy-based modelling”. Some people just describe it in terms of what it’s doing: “smoothing the space around a point”, “attaining low density separation”, “propagating labels”, or “pushing away decision boundaries”.

The folks in semi-supervised learning call it “consistency training”. This is descriptive and accurate. It’s general enough to cover all its instantiations but narrow enough to actually have a meaning. It’s what we’ll use here.

[Calculated crystals from another source follow]
<<<
# LiTeOs2 (SCAN, single point on PBEsol structure)
# **Formation energy (no corrections)**: 0.42 eV/atom
# **Electronic total energy**: -181.70 eV per cell
data_LiTeOs2
_space_group_name_H-M_alt 'P 4 m m'
_space_group_IT_number 99
_cell_length_a 2.9102
_cell_length_b 2.9102
_cell_length_c 8.1157
_cell_angle_alpha 90.00
_cell_angle_beta 90.00
_cell_angle_gamma 90.00
loop_
_space_group_symop_operation_xyz
'x,y,z'
'-y,x,z'
'-x,-y,z'
'y,-x,z'
'-x,y,z'
'y,x,z'
'x,-y,z'
'-y,-x,z'
loop_
_atom_site_label
_atom_site_fract_x
_atom_site_fract_y
_atom_site_fract_z
Li1 0.0000 0.0000 0.0000
Te1 0.5000 0.5000 0.6917
Os1 0.0000 0.0000 0.4222
Os2 0.5000 0.5000 0.2322


# TaCS2 (SCAN, single point on PBEsol structure)
# **Formation energy (no corrections)**: 1.17 eV/atom
# **Electronic total energy**: -273.84 eV per cell
data_TaCS2
_space_group_name_H-M_alt 'R -3 m'
_space_group_IT_number 166
_space_group_name_Hall '-R 3 2"'
_cell_length_a 2.9904
_cell_length_b 2.9904
_cell_length_c 21.3997
_cell_angle_alpha 90.00
_cell_angle_beta 90.00
_cell_angle_gamma 120.00
loop_
_atom_site_label
_atom_site_fract_x
_atom_site_fract_y
_atom_site_fract_z
Ta1 0.0000 0.0000 0.0000
C1 0.0000 0.0000 0.5000
S1 0.0000 0.0000 0.1105


# Li3Pt (SCAN, single point on PBEsol structure)
# **Excess energy over the best structure of this formula in the dataset**: 0.038 eV/atom
# **Energy of formation from the pure elements**: -0.45 eV/atom
# **Electronic total energy**: -158.33 eV per cell
data_Li3Pt
_space_group_name_H-M_alt 'C m m m'
_space_group_IT_number 65
_space_group_name_Hall '-C 2 2'
_cell_length_a 5.2619
_cell_length_b 7.3098
_cell_length_c 2.8217
_cell_angle_alpha 90.00
_cell_angle_beta 90.00
_cell_angle_gamma 90.00
loop_
_atom_site_label
_atom_site_fract_x
_atom_site_fract_y
_atom_site_fract_z
Li1 0.0000 0.0000 0.0000
Li2 0.2500 0.2500 0.5000
Pt1 0.0000 0.5000 0.0000


# NiB2Te (SCAN, single point on PBEsol structure)
# **Formation energy (no corrections)**: 0.49 eV/atom
# **Electronic total energy**: -265.36 eV per cell
data_NiB2Te
_space_group_name_H-M_alt 'I -4 2 d'
_space_group_IT_number 122
_space_group_name_Hall 'I -4 2bw'
_cell_length_a 3.7859
_cell_length_b 3.7859
_cell_length_c 13.9537
_cell_angle_alpha 90.00
_cell_angle_beta 90.00
_cell_angle_gamma 90.00
loop_
_atom_site_label
_atom_site_fract_x
_atom_site_fract_y
_atom_site_fract_z
Ni1 0.0000 0.0000 0.0000
B1 0.0471 0.2500 0.1250
Te1 0.0000 0.0000 0.5000


# La2Re2Si2C (SCAN, single point on PBEsol structure)
# **Formation energy (no corrections)**: -0.59 eV/atom
# **Electronic total energy**: -525.33 eV per cell
data_La2Re2Si2C
_space_group_name_H-M_alt 'C 1 2/m 1'
_space_group_IT_number 12
_cell_length_a 11.2014
_cell_length_b 4.0683
_cell_length_c 7.2849
_cell_angle_alpha 90.00
_cell_angle_beta 128.75
_cell_angle_gamma 90.00
loop_
_space_group_symop_operation_xyz
'x,y,z'
'-x,-y,-z'
'-x,y,-z'
'x,-y,z'
'x+1/2,y+1/2,z'
'-x+1/2,-y+1/2,-z'
'-x+1/2,y+1/2,-z'
'x+1/2,-y+1/2,z'
loop_
_atom_site_label
_atom_site_fract_x
>>>

What is consistency training?

You’re the technical lead of the Oscar Mayer data science team. The CEO comes to your office with an urgent assignment: they need a model that recognizes hotdogs in natural images. Binary classifier, hotdog or not-hotdog.

Your team’s first classifier performs well but it isn’t perfect. It’s overfitting to the small dataset. You decide to implement data augmentation.

What set of augmentations do you choose? You’ve got the menu of standard transformations at your disposal: crop, color jitter, rotation, blur, solarization, affine transform—whatever you want. You’ll want to be as aggressive as possible to counteract the small size of your dataset. Pause here, think about what augmentations you’d do.

You probably imagined different levels of augmentation that look something like this:

Hotdogs at different levels of data augmentation

Different options for data augmentation. We want enough to fill out the dataset but not so much that even we as domain experts can’t recognize it. The original image is on the left, augmentation increases as we go right. The rightmost image is too augmented—even we can’t tell it’s a hotdog.

This augmentation allows you to train a model that’s more robust. How is that?

Obfuscating unhelpful variability. The model will become blind to whichever axes you randomize. Jitter the hue and blur the image? The model becomes blind to color and texture. Crop and rotate? The model becomes blind to global structure. It’s like a game of twenty-questions: every constraint you impose is another hint, narrowing down the set of valid hypotheses. Telling the model “whatever solution you come up with shouldn’t depend on global structure, texture or color” rules out a GIGANTIC portion of the search space.

Highlighting the signal. Not only does data augmentation collapse unhelpful variation, it also highlights the useful stuff. You’re giving the model another hint: “the solution should depend on whatever is constant throughout these data augmentations”.

Consistency training is often framed in terms of mutual information: given a single image with multiple augmentations (like the hotdog above), the solution to the task must be in the venn-diagram overlap of two zones: (1) solutions that don’t rely on whatever axes we’re randomizing (color, texture, global structure) and (2) solutions that do rely on whatever is constant throughout the augmented images (the hotdog).

This isn’t some niche ML thing, humans also learn best through examples. To teach a child the concept of an “apple” you don’t describe it in some abstract way and hope they recognize one when they see it, you just show them a few examples—granny smith, honeycrisp, golden delicious—and trust that their brain will sift through the noise to find the thing that’s constant across examples.

You’re about to deliver the final model when you get an urgent email from the CEO: now they need a hotdog brand detector! Multiclass classifier. Needs to differentiate between the twelve most popular brands of hotdog by hotdog alone—can’t even rely on packaging! That changes things.

The model architecture can mostly stay the same. What about data augmentation? Does this change the set of perturbations you’re comfortable doing? Think about it for a moment.

Oscar Mayer didn’t make you head of data science for nothing! You quickly realize that you’ll have to be much more conservative with the data perturbations. You can’t willy-nilly collapse all the intra-hotdog variability like you did before. Those subtle differences in color, shape and texture are exactly what will help the model distinguish between brands. They weren’t important when your job was just to identify the presence of a hotdog, but now they’re critical differentiators—even though the data itself is the same.

Let’s appreciate what you just did. You combined your human priors about the natural world with your domain expertise in hotdogs, then you refined that knowledge for the specific task and injected it into the algorithm in the form of thoughtfully-crafted data augmentation. Data augmentation is a form of supervision.

But that form of supervision has nothing to do with labels. The fact that you as domain-expert are able to say that brand identification is invariant to a particular set of perturbation is an item of knowledge that applies to all of your records. This channel of supervision will benefit even from an increase in unlabeled samples.

And you have a ton of those. Oscar Mayer has terabytes of unlabeled hotdog footage just sitting in the basement! Surely there’s a wealth of structure just waiting to be uncovered! You can use the intuition you had above about class consistency across views—even when you don’t know the class.

But how do you operationalize that intuition? How can you actually use the natural structure of all that unlabeled data? How can you spread that supervisory signal across your entire dataset, imbuing the right invariances even in your unlabeled records?

Consistency training II: How does it work? is a walkthrough of what’s happening under the hood.

Consistency training III: An engineer’s guide to the literature reviews the landscape of existing work on consistency training.

# Materials data, kept here for reference
<<<
Entry 1:
# In8CuHg2

An optimized crystal structure of In8CuHg2 (PBE, Alexandria via LeMat-Bulk).

Output
* calculated volume: 25.845 Å³ per atom
* calculated formation energy: 28 meV per atom
* density of states at the Fermi level: 4.2 states/eV/f.u.

a b c (Å): 4.5755 4.5755 13.5800
angles (deg): 90.00 90.00 90.00
Sites, in units of the cell vectors:
In  0.0000  0.0000  0.1974
In  0.0000  0.0000  0.8026
In  0.0000  0.5000  0.0000
In  0.0000  0.5000  0.3802
In  0.0000  0.5000  0.6198
In  0.5000  0.0000  0.0000
In  0.5000  0.0000  0.3802
In  0.5000  0.0000  0.6198
Cu  0.5000  0.5000  0.5000
Hg  0.5000  0.5000  0.1831
Hg  0.5000  0.5000  0.8169

=====

Entry 2:
# InCu2Hg

An optimized crystal structure of InCu2Hg (PBE, Alexandria via LeMat-Bulk).

Output
* polymorph energy (0 for the lowest one): 10.1 meV per atom
* calculated volume: 17.907 Å³ per atom
* calculated formation energy: 141 meV per atom
* density of states at the Fermi level: 1.0 states/eV/f.u.

a b c (Å): 5.9852 5.9852 5.9852
angles (deg): 151.32 135.58 53.73
Sites, in units of the cell vectors:
In  0.0000  0.0000  0.0000
Cu  0.2535  0.7535  0.5000
Cu  0.4462  0.4462  0.0000
Hg  0.7087  0.2087  0.5000

=====

Entry 3:
# In2CuHg

An optimized crystal structure of In2CuHg (PBE, Alexandria via LeMat-Bulk).

Output
* calculated volume: 22.633 Å³ per atom
* calculated formation energy: 110 meV per atom
* density of states at the Fermi level: 1.2 states/eV/f.u.

a b c (Å): 9.0727 9.0727 9.0727
angles (deg): 21.83 21.83 21.83
Sites, in units of the cell vectors:
In  0.0000  0.0000  0.0000
In  0.2337  0.2337  0.2337
Cu  0.4971  0.4971  0.4971
Hg  0.7592  0.7592  0.7592

=====

Entry 4:
# In2Cu2Hg

An optimized crystal structure of In2Cu2Hg (PBE, Alexandria via LeMat-Bulk).

Output
* polymorph energy (0 for the lowest one): 145.9 meV per atom
* calculated volume: 21.378 Å³ per atom
* calculated formation energy: 244 meV per atom
* density of states at the Fermi level: 1.9 states/eV/f.u.

a b c (Å): 6.4570 6.4570 6.4570
angles (deg): 140.75 140.75 56.71
Sites, in units of the cell vectors:
In  0.2500  0.7500  0.5000
In  0.7500  0.2500  0.5000
Cu  0.1049  0.1049  0.0000
Cu  0.8951  0.8951  0.0000
Hg  0.5000  0.5000  0.0000

=====

Entry 5:
# In2CuHg

An optimized crystal structure of In2CuHg (PBE, Alexandria via LeMat-Bulk).

Output
* calculated volume: 24.236 Å³ per atom
* calculated formation energy: 128 meV per atom
* density of states at the Fermi level: 1.2 states/eV/f.u.

a b c (Å): 7.6315 7.6315 7.6315
angles (deg): 29.76 29.76 29.76
Sites, in units of the cell vectors:
In  0.0000  0.0000  0.0000
In  0.1958  0.1958  0.1958
Cu  0.5983  0.5983  0.5983
Hg  0.7660  0.7660  0.7660

=====

Entry 6:
# In2Cu2Hg

An optimized crystal structure of In2Cu2Hg (PBE, Alexandria via LeMat-Bulk).

Output
* polymorph energy (0 for the lowest one): 0.0 meV per atom
* calculated volume: 19.559 Å³ per atom
* calculated formation energy: 98 meV per atom
>>>

Consistency training IV: Beyond invariance shows that invariances are just one type of consistency. There’s a whole world of constraints we can enforce to reduce our hypothesis space enough to solve simple tasks with no labels at all.